Night Fever
Friday classes, students shut their books and hit the clubs to get
an early start on their weekends
John-Mark Day
Skiff Staff
Students dance Thursday at Cowboys in Arlington. Top
left: Reeves Dalton, a freshman premajor, Top right: Melinda
Hoover, a freshman business major, Emily Tanner, a freshman
fashion merchandising major and Sarah Woolsey, a freshman
premajor. Bottom right: Kat Clayton, a freshman premajor and
Kristen Barnes, a freshman advertising/public relations major.
(Records of molecules, kept here for reference)
-- begin --
# 1
Molecular formula: C8H11ClN2O4
Method: DFT, the ωB97M-V functional and the def2-TZVPD basis

Values from the calculation:
SMILES: COC(=O)c1c(Cl)ccn1N.COC=O
Charge: 0
Strongest force on any atom: 0.0832 hartree/bohr
Gap between HOMO and LUMO: 9.192 eV
ΔE to the lowest compared entry with this formula, charge and spin: 0.0 kcal per mole

```
26
C8H11ClN2O4 the ωB97M-V functional and the def2-TZVPD basis
C -0.702 3.536 2.142
O -0.898 2.190 1.919
C 0.096 1.613 1.047
O 0.940 2.374 0.555
C -0.029 0.163 0.959
C -0.887 -0.683 1.686
Cl -2.128 -0.089 2.738
C -0.409 -1.956 1.506
C 0.601 -1.932 0.595
N 0.829 -0.666 0.202
N 1.598 -0.093 -0.794
H -1.562 3.785 2.725
H -0.682 4.087 1.093
H 0.240 3.737 2.728
H -0.716 -2.941 1.750
H 1.093 -2.817 0.191
H 2.601 -0.286 -0.713
H 1.551 0.906 -0.573
C -1.192 -1.483 -2.103
O 0.131 -2.024 -2.449
C 1.042 -1.201 -2.910
O 0.935 -0.069 -3.296
H -1.282 -0.556 -2.679
H -1.174 -1.439 -1.012
H -1.981 -2.197 -2.336
H 1.984 -1.960 -2.973
```

Here are the Löwdin charges for atoms 1 to 8, given in e: -0.11 -0.17 -0.32 0.06 -0.13 -0.59 0.74 -0.11



# 2
Molecular formula: C4H7N3O4
Method: DFT, the ωB97M-V functional and the def2-TZVPD basis

Values from the calculation:
SMILES: O=c1cn[nH]o1.CC(=O)NO
Charge: 0
Strongest force on any atom: 0.0412 hartree/bohr
Gap between HOMO and LUMO: 10.050 eV
ΔE to the lowest compared entry with this formula, charge and spin: 109.1 kcal per mole

```
18
C4H7N3O4 the ωB97M-V functional and the def2-TZVPD basis
O -2.439 1.642 0.166
C -2.235 0.454 0.137
C -2.365 -0.564 1.153
N -2.079 -1.749 0.730
N -1.741 -1.580 -0.633
O -1.849 -0.213 -0.935
H -2.664 -0.301 2.157
H -0.753 -1.787 -0.750
C 0.994 1.615 -0.484
C 1.628 0.481 0.171
O 2.174 0.573 1.249
N 1.610 -0.730 -0.435
O 2.628 -1.611 0.021
H 1.623 1.980 -1.284
H 0.818 2.413 0.251
H 0.081 1.234 -0.961
H 1.674 -0.605 -1.435
H 2.894 -1.251 0.884
```

Here are the Löwdin charges for atoms 1 to 8, given in e: 0.11 -0.53 -0.04 0.12 0.02 0.04 0.13 0.12



# 3
Molecular formula: CH7N3O
Method: DFT, the ωB97M-V functional and the def2-TZVPD basis

Values from the calculation:
Charge: 0
Strongest force on any atom: 0.0551 hartree/bohr
Gap between HOMO and LUMO: 3.854 eV
ΔE to the lowest compared entry with this formula, charge and spin: 201.4 kcal per mole

```
12
CH7N3O the ωB97M-V functional and the def2-TZVPD basis
N 0.800 1.878 -1.001
C 1.370 1.082 -0.102
N 0.834 -0.125 0.282
N 2.402 1.419 0.629
H -0.067 1.471 -1.356
H -2.980 -1.940 0.991
H -1.523 -1.685 -1.489
H -0.017 -0.599 -0.067
H 2.623 2.395 0.431
H 1.417 -0.624 0.935
H -3.626 -1.914 1.366
O -1.232 -1.357 -0.619
```

Here are the Löwdin charges for atoms 1 to 8, given in e: 0.20 -0.60 0.16 0.31 0.06 -0.01 -0.03 -0.01



# 4
Molecular formula: CH2IOP
Method: DFT, the ωB97M-V functional and the def2-TZVPD basis

Values from the calculation:
Charge: 0
Strongest force on any atom: 0.0771 hartree/bohr
Gap between HOMO and LUMO (spin up / spin down): 7.933 / 7.932 eV
-- stop --
Its well
past midnight Thursday, any Thursday really, and freshman education
major Leanna Gilles has just hit the dance floor at Billy Bobs
Texas for another round of two-stepping. She and the four or five
women who came with her will close the club, then head home and
to sleep, hopefully by 2 a.m. She really should get to bed as soon
as she can. After all, class starts at 8 a.m.
Many TCU students
choose to take advantage of Thursday night, despite class Friday
In college,
the weekend starts on Thursday nights, Gilles said.
Gilles said
she usually gets ready at about 10 p.m. and doesnt even hit
the clubs until 11 p.m. She leaves about 1:30 a.m., giving her enough
time to catch some sleep before hitting her 8 a.m. Spanish class.
a little tired (Friday morning), but its not horrible,
Gilles said.
Billy Bobs
on Thursday nights has become a tradition for Gilles and her friends,
who said she started going to the club the second week she was on
campus and has gone every week since.
are lots of college students there (on Thursday nights), Gilles.
Friday and Saturday have more adults.
Melinda Hoover, a freshman business major, Emily Tanner, a
freshman fashion merchandising major and Sarah Woolsey, a
freshman premajor.
Thursdays, college
night at Billy Bobs, has one particular attraction for college
Its free, Gilles said. There are quite a
few people there from TCU of all ages. Ive met a lot of people
Other clubs
around Fort Worth find other ways to attract college students on
Thursday nights.
Danny Weaver,
who owns the Aardvark at 2905 W. Berry St., said Thursday nights
are a big draw for his club.
Not as
many people have class Friday, Weaver said. The number
of college students definitely increases.
Weaver said
he plans Thursday nights around college students.
I definitely
schedule bands for college students, he said.
Younger bands
and the drink specials the Aardvark runs draw students in, Weaver
For sophomore history major Geoff Godley, having a Thursday night
class is not a reason to miss out on an extra weekend night.
I usually
stay up late if I dont go out, Godley said. I
only have one class at 10 a.m. on Fridays.
Godley said
Thursday nights were an especially big draw to him as a freshman.
At first
I went out every Thursday, but then it started to lose its luster,
he said.
Gilles said
she used to think of Thursdays as another weeknight, a time to do
homework and wind down from the week.
I thought,
Thursday nights? Why would people go out on Thursday nights?
Gilles said.
After trying it out the first time, Gilles said she has gone back
every week.
A community
has grown up around the clubs, she said.
You see
people you know, but you also get to meet some new people,
she said.
Gilles said shes also learned some new moves.
I knew
a basic line dance (my first time) but Ive learned some more
advanced dances since then, she said.
Godley said
he started going out on Thursday nights because thats what
everyone else did.
When in
Rome, do as the Romans do, Godley said. Youre
supposed to go out Thursday night.
Senior religion
major Kiera Sammis said Thursday nights are a big time to get ready
for the weekend.
It seems
as though a lot of people from TCU go out on Thursday nights,
Sammis said. Were all excited for the weekend to come.
Sammis said
Thursdays are a particularly good time for her to go out because
she hasnt had a Friday class for the past three semesters.
A typical Thursday
night for her starts about 9:30 or 10 p.m., when shell meet
up with friends and go downtown.
We go
hang out and dance a little, she said.
She then moves
on to The Pub, where she runs into more TCU people. Sammis said
she usually goes home around 2 a.m.
Sammis said
she tries out many different places. The Library, a new club at
8th and Commerce streets, is particularly popular, she said.
new right now, and everyone wants to go there, she said.
Sammis said
Thursday nights are an important way for her to relax after the
school week.
Were in college, and we only live once, she said.
Senior fashion
merchandising major Melissa Styles said there is one big reason
for college students to go out on Thursday nights.
So we
dont run into the high school kids like on Friday or Saturday
night, Styles said.
For Godley,
avoiding high school students isnt the only reason to go out
on Thursdays. Fear is a pretty good motivating factor also.
You dont
want to be the dude who doesnt go out Thursday nights,
Godley said.